_Job_
Work out how many lines further below have the word "following" in them; a number is enough.
_File_
(1)
The following is a DFT calculation (PBEsol) of NbAsO2 after structural relaxation.

## Properties
- ΔE_f (raw) (eV/f.u.) = -2.4
- symmetry = R-3m (166)

```
data_NbAsO2
_cell_length_a 7.131
_cell_length_b 7.131
_cell_length_c 7.131
_cell_angle_alpha 24.20
_cell_angle_beta 24.20
_cell_angle_gamma 24.20
_symmetry_space_group_name_H-M 'P 1'
_symmetry_Int_Tables_number 1
loop_
_symmetry_equiv_pos_as_xyz
'x,y,z'
loop_
_atom_site_label
_atom_site_type_symbol
_atom_site_fract_x
_atom_site_fract_y
_atom_site_fract_z
Nb1 Nb 0.000 0.000 0.000
As1 As 0.500 0.500 0.500
O1 O 0.095 0.095 0.095
O2 O 0.905 0.905 0.905
```

***

(2)
The following is a DFT calculation (PBEsol) of InNi2W after structural relaxation.

## Properties
- energy relative to the elements (eV/atom) = 0.2126
- symmetry = Imm2 (44)

```
data_InNi2W
_cell_length_a 5.266
_cell_length_b 5.266
_cell_length_c 5.266
_cell_angle_alpha 149.92
_cell_angle_beta 130.01
_cell_angle_gamma 59.46
_symmetry_space_group_name_H-M 'P 1'
_symmetry_Int_Tables_number 1
loop_
_symmetry_equiv_pos_as_xyz
'x,y,z'
loop_
_atom_site_label
_atom_site_type_symbol
_atom_site_fract_x
_atom_site_fract_y
_atom_site_fract_z
In1 In 0.000 0.000 0.000
Ni1 Ni 0.253 0.753 0.500
Ni2 Ni 0.479 0.479 0.000
W1 W 0.721 0.221 0.500
```

***

(3)
The following is a DFT calculation (PBEsol) of LiP4WO13 after structural relaxation.

## Properties
- ΔE_f (raw) (eV/f.u.) = -39.7
- symmetry = P1 (1)

```
data_LiP4WO13
_cell_length_a 5.155
_cell_length_b 7.855
_cell_length_c 13.866
_cell_angle_alpha 84.00
_cell_angle_beta 88.66
_cell_angle_gamma 80.66
_symmetry_space_group_name_H-M 'P 1'
_symmetry_Int_Tables_number 1
loop_
_symmetry_equiv_pos_as_xyz
'x,y,z'
loop_
_atom_site_label
_atom_site_type_symbol
_atom_site_fract_x
_atom_site_fract_y
_atom_site_fract_z
Li1 Li 0.000 0.000 0.000
Li2 Li 0.481 0.098 0.511
P1 P 0.129 0.940 0.676
P2 P 0.184 0.821 0.207
P3 P 0.363 0.755 0.859
P4 P 0.471 0.393 0.653
P5 P 0.518 0.599 0.349
P6 P 0.625 0.248 0.136
P7 P 0.806 0.179 0.794
P8 P 0.857 0.064 0.319
W1 W 0.073 0.424 0.239
W2 W 0.917 0.576 0.756
O1 O 0.012 0.877 0.301
O2 O 0.060 0.190 0.306
O3 O 0.069 0.663 0.179
O4 O 0.182 0.478 0.668
O5 O 0.185 0.965 0.131
O6 O 0.196 0.613 0.842
O7 O 0.264 0.963 0.583
O8 O 0.307 0.836 0.950
O9 O 0.330 0.335 0.147
O10 O 0.330 0.893 0.764
O11 O 0.354 0.457 0.325
O12 O 0.463 0.747 0.255
O13 O 0.468 0.670 0.441
O14 O 0.516 0.302 0.565
O15 O 0.522 0.253 0.751
O16 O 0.644 0.532 0.668
O17 O 0.656 0.667 0.846
O18 O 0.658 0.110 0.231
O19 O 0.688 0.166 0.046
O20 O 0.720 0.054 0.413
O21 O 0.790 0.390 0.154
O22 O 0.810 0.518 0.328
O23 O 0.812 0.034 0.870
O24 O 0.923 0.338 0.820
O25 O 0.934 0.809 0.687
O26 O 0.966 0.123 0.698
```

***

(4)
The following is a DFT calculation (PBEsol) of Zr4Rh3 after structural relaxation.

## Properties
- energy relative to the elements (eV/atom) = -0.6329
- symmetry = R-3 (148)

```
data_Zr4Rh3
_cell_length_a 7.333
_cell_length_b 7.333
_cell_length_c 7.333
_cell_angle_alpha 113.64
_cell_angle_beta 113.64
_cell_angle_gamma 113.64
_symmetry_space_group_name_H-M 'P 1'
_symmetry_Int_Tables_number 1
loop_
_symmetry_equiv_pos_as_xyz
'x,y,z'
loop_
_atom_site_label
_atom_site_type_symbol
_atom_site_fract_x
_atom_site_fract_y
_atom_site_fract_z
Zr1 Zr 0.000 0.000 0.000
Zr2 Zr 0.076 0.639 0.783
Zr3 Zr 0.217 0.924 0.361
Zr4 Zr 0.361 0.217 0.924
Zr5 Zr 0.500 0.500 0.500
Zr6 Zr 0.639 0.783 0.076
Zr7 Zr 0.783 0.076 0.639
Zr8 Zr 0.924 0.361 0.217
Rh1 Rh 0.138 0.282 0.566
Rh2 Rh 0.282 0.566 0.138
Rh3 Rh 0.434 0.862 0.718
Rh4 Rh 0.566 0.138 0.282
Rh5 Rh 0.718 0.434 0.862
Rh6 Rh 0.862 0.718 0.434
```

***

(5)
The following is a DFT calculation (PBEsol) of TaBe2Tl after structural relaxation.

## Properties
- energy relative to the elements (eV/atom) = 0.4502
- polymorph energy (0 for the lowest one) (meV per atom) = 49
- symmetry = P4/mmm (123)

```
data_TaBe2Tl
_cell_length_a 2.933
_cell_length_b 2.933
_cell_length_c 7.169
_cell_angle_alpha 90.00
_cell_angle_beta 90.00
_cell_angle_gamma 90.00
_Completed_
5